By on Friday, 17 September 2021
Category: Zodiac Compatibility

/*
Density functional theory data (PBE+U) for crystalline Fe5O8F2 at its relaxed geometry.

The formation energy comes out at -1.577 eV per atom. For the MP2020-corrected energy, the calculation gives -7.294 eV/atom.

The structure belongs to space group P2_1/c (No. 14); the cell edges are 7.6205, 4.6598 and 10.1459 Å and the angles 90.00°, 115.03° and 90.00°. The asymmetric unit holds Fe at (0.0000, 0.0000, 0.0000), Fe at (0.1916, 0.0189, 0.7870), Fe at (0.4126, 0.0324, 0.6053), O at (0.0163, 0.6918, 0.6763), O at (0.1845, 0.2101, 0.6134), O at (0.3851, 0.1874, 0.4220), O at (0.4101, 0.6710, 0.2686) and F at (0.2195, 0.7020, 0.4735).

----------

(1)
First-principles (GGA-PBE) data for crystalline UGa2Cu6 at its relaxed geometry, as listed in the Materials Project database.

Lattice parameters (Å, degrees): 8.7230 8.7230 12.3012 90.00 90.00 120.00
Space group R3m (No. 160, hexagonal axes)
One atom of each set of equivalent atoms:
U: 0.0000 0.0000 0.0000 [3 per cell]
U: 0.0000 0.0000 0.3052 [3 per cell]
Ga: 0.0000 0.0000 0.7220 [3 per cell]
Ga: 0.0203 0.5102 0.1574 [9 per cell]
Cu: 0.0111 0.5055 0.8099 [9 per cell]
Cu: 0.0294 0.3621 0.3233 [18 per cell]
Cu: 0.1673 0.3345 0.8359 [9 per cell]

=====

(2)
First-principles (GGA-PBE) data for crystalline RePCl9 at its relaxed geometry, as listed in the Materials Project database.

Lattice parameters (Å, degrees): 7.2113 9.3542 9.8729 102.11 96.70 94.79
Space group P-1 (No. 2)
One atom of each set of equivalent atoms:
Re: 0.1086 0.1303 0.1680 [2 per cell]
P: 0.4490 0.3096 0.7204 [2 per cell]
Cl: 0.0159 0.7397 0.6418 [2 per cell]
Cl: 0.0789 0.3281 0.0575 [2 per cell]
Cl: 0.1284 0.9292 0.2770 [2 per cell]
Cl: 0.2058 0.9825 0.9541 [2 per cell]
Cl: 0.2536 0.4446 0.7322 [2 per cell]
Cl: 0.3389 0.1164 0.6111 [2 per cell]
Cl: 0.3506 0.6130 0.3716 [2 per cell]
Cl: 0.4204 0.2150 0.2543 [2 per cell]
Cl: 0.4461 0.7031 0.0914 [2 per cell]

=====

(3)
First-principles (GGA-PBE) data for crystalline K2ZnCl4 at its relaxed geometry, as listed in the Materials Project database.

Lattice parameters (Å, degrees): 9.0521 7.4005 12.7451 90.00 90.00 90.00
Space group Pnma (No. 62)
One atom of each set of equivalent atoms:
K: 0.0051 0.2500 0.1859 [4 per cell]
K: 0.1324 0.7500 0.4151 [4 per cell]
Zn: 0.2186 0.7500 0.0810 [4 per cell]
Cl: 0.0296 0.2500 0.9345 [4 per cell]
Cl: 0.1667 0.2500 0.4193 [4 per cell]
Cl: 0.1964 0.0010 0.6686 [8 per cell]

=====

(4)
First-principles (GGA-PBE) data for crystalline SmTlPd at its relaxed geometry, as listed in the Materials Project database.

Lattice parameters (Å, degrees): 7.9608 7.9608 3.8551 90.00 90.00 120.00
Space group P-62m (No. 189)
One atom of each set of equivalent atoms:
Sm: 0.0000 0.4030 0.0000 [3 per cell]
Tl: 0.0000 0.7343 0.5000 [3 per cell]
Pd: 0.0000 0.0000 0.0000 [1 per cell]
Pd: 0.3333 0.6667 0.5000 [2 per cell]

=====

(5)
First-principles (GGA-PBE) data for crystalline BaZnGe at its relaxed geometry, as listed in the Materials Project database.
*/


Sun Sign Compatibility 

Freedom and versatility helps these two appreciate each other. Like looking into a mirror, they can learn to love each other while learning to love themselves in a healthy way. Attaining unconditional love and self love is the goal of this relationship, whether they are aware of it or not.

These two will love spending time together and will embrace a flexible lifestyle and dating life. They will spend a lot of time engaging in entertainment activities together, both inside and outside of the house. The latest trends and hotspots will feel like a second home to them.

Modality Compatibility  

The energy these two bring together is overwhelmingly mutable, which means they can overcome any obstacles. Love built here can be very strong and nurturing. They are very supportive of each other and have a healthy relationship. Easily, they could raise children or have pets together as they have compatible parenting styles and beliefs.

Element Compatibility​ 

These two Air signs communicate well because they understand how each other thinks and reacts. There is a great intuitive connection between them that is also intellectual. Sometimes they are so similar that their daydreams are alike and they can often feel like they are walking in-between each other's thoughts and ruminations. If musically inclined, they could easily enjoy playing music together without any end goal.

Energetic Strengths ​ 

Gemini's easily adaptable nature and open-mindedness allows a strong bond to form between these two. If they decide to take on a life together that requires them to adapt and change, such as frequent travel or moving often, they will thrive together. These two personalities do best with a home that is moving along with them as it helps them lean into all their other strengths and passions. Change is the cornerstone of their sanctuary they create together.

Energetic Challenges ​ 

Any commitment issues may prove challenging to overcome especially if either one or both lean into tendencies to overthink things. These two will also have financial troubles as both of them love to live extravagant lifestyles and spend as much as they desire. They will need to figure out what budget works best for them and stick to it, allowing for their freedom.

How to Create Astrological Balance ​ 

This is a very compatible union of the same sign. Because of their ability to flow with each other and understand each other's nature, they are easy to forgive and compromise when arguments get heated. A dual Gemini pairing has the possibility of being a very loving relationship and their growth comes from outside of the relationship and not within.